## To do
Next, reproduce the lines underneath from the one with "-2.29808 0.90365" to the one with "-1.89861 -1.45705" word for word.

## Source
-- begin --
Record 1
DFT (ωB97M-V with the def2-TZVPD basis set) results for a structure of composition C30H51Cl2N2OsPS.

The geometry in XYZ format:
```
88
Properties=species:S:1:pos:R:3:forces:R:3
P -0.23448 0.54699 -1.27140 0.3 -1.2 1.9
C -1.85298 0.02864 -2.00201 0.3 0.7 0.2
C -2.29808 0.90365 -3.17419 -0.3 -0.2 -0.2
C -3.73117 0.53841 -3.57818 0.0 0.0 0.1
C -3.92958 -0.96831 -3.80618 0.1 0.0 -0.2
C -3.34168 -1.85288 -2.69775 0.1 0.2 0.1
C -1.89861 -1.45705 -2.36083 -0.1 0.0 -0.1
C 1.16533 -0.07778 -2.30105 -0.5 0.5 0.1
C 1.02857 0.33370 -3.76082 0.5 -0.2 -0.3
C 2.33549 0.01106 -4.49638 0.0 0.1 0.0
C 2.77344 -1.45088 -4.31458 -0.1 -0.1 -0.1
C 2.75031 -1.93201 -2.85633 -0.1 0.2 0.1
C 1.42420 -1.58359 -2.17080 0.0 0.0 0.2
C -0.15311 2.39318 -1.30402 -0.1 -0.2 -0.6
C -1.26990 3.01176 -0.44971 -0.1 0.2 0.1
C -1.25464 4.54435 -0.57083 0.1 -0.2 -0.1
C 0.11336 5.14856 -0.23558 0.0 -0.1 0.1
C 1.26363 4.46033 -0.97843 -0.2 -0.2 -0.1
C 1.21678 2.92745 -0.86577 0.1 0.1 0.1
H -2.53392 0.18268 -1.14266 0.1 0.0 -0.3
H -1.61344 0.74737 -4.02070 -0.2 0.1 0.1
H -2.25338 1.97017 -2.91655 0.0 -0.2 -0.1
H -3.99699 1.09693 -4.48468 -0.1 -0.1 0.1
H -4.40710 0.87101 -2.77584 0.1 0.0 -0.1
H -5.00033 -1.17580 -3.90532 0.1 0.0 -0.1
H -3.46103 -1.24485 -4.76120 0.0 0.0 0.1
H -3.95257 -1.75461 -1.78805 0.1 0.0 -0.1
H -3.36851 -2.90684 -3.00122 -0.1 0.2 0.0
H -1.51526 -2.06619 -1.53049 -0.1 0.1 -0.3
H -1.25322 -1.64383 -3.23256 -0.2 0.0 0.1
H 2.03248 0.42803 -1.84348 -0.2 -0.1 -0.2
H 3.12040 0.67310 -4.10206 -0.1 -0.1 -0.1
H 0.79920 1.40534 -3.85746 0.0 -0.2 0.0
H 0.19608 -0.22350 -4.21772 0.2 0.1 0.1
H 2.20882 0.24119 -5.56171 0.2 -0.1 0.1
H 3.78194 -1.57759 -4.72341 -0.1 0.0 0.0
H 2.10610 -2.09392 -4.90501 0.1 0.1 0.0
H 2.91330 -3.01740 -2.81038 0.0 0.2 0.0
H 3.56833 -1.45435 -2.29650 -0.1 -0.1 -0.1
H 1.44436 -1.87069 -1.11218 0.1 0.1 -0.3
H 0.60534 -2.15370 -2.62754 0.2 0.1 0.0
H -0.30990 2.67062 -2.36295 0.0 0.2 0.3
H -2.26011 2.64247 -0.75273 0.2 0.0 0.1
H -1.14941 2.70143 0.59984 0.1 0.1 -0.3
H -1.51225 4.80224 -1.60808 0.0 0.0 0.1
H -2.03174 4.97431 0.07297 0.1 0.0 -0.1
H 0.28551 5.06912 0.84598 0.0 0.0 -0.1
H 0.10990 6.21623 -0.48041 0.0 -0.1 0.1
H 2.22981 4.82736 -0.61099 -0.2 0.0 -0.1
H 1.20220 4.71825 -2.04517 0.0 0.0 0.1
H 2.02165 2.50745 -1.48404 -0.2 0.0 0.1
H 1.42866 2.60552 0.16413 -0.1 0.1 -0.2
Os 0.00399 -0.54756 1.58183 0.4 3.6 -4.3
Cl 2.22036 0.15740 0.95172 0.7 0.4 0.1
Cl -2.21551 0.29543 1.49034 -1.0 0.7 0.2
C -0.49289 -2.16088 0.78785 -0.9 -3.4 -1.0
H -1.55158 -2.26902 0.47253 0.4 -0.1 0.6
C 0.26356 -3.42509 0.79728 -0.1 0.2 0.3
C 1.67028 -3.39399 0.90096 -0.2 -0.3 0.1
C 2.39827 -4.57972 0.96271 0.0 0.1 0.0
C 1.73849 -5.80784 0.94169 -0.4 -0.1 0.0
C 0.33245 -5.85070 0.85660 0.4 0.0 0.0
C -0.40034 -4.67733 0.78050 0.3 0.5 -0.1
H 2.16549 -2.42193 0.95699 0.0 -0.4 -0.1
H 3.49011 -4.53159 1.02981 -0.4 -0.1 0.0
H -0.18404 -6.80869 0.85124 0.1 0.1 0.0
H -1.49095 -4.67684 0.72718 0.3 -0.1 0.0
H 2.30559 -6.73850 0.99538 -0.2 0.3 0.0
C -2.14556 -0.04007 4.93955 -0.5 -0.2 0.0
N -0.89657 0.63194 5.27808 1.0 0.2 -0.2
C -0.96061 1.77233 6.18245 -0.3 0.0 0.2
C 0.25366 0.28636 4.69947 -0.1 0.0 0.4
S 0.26490 -1.05907 3.60962 0.4 -1.9 3.3
N 1.43246 0.81774 5.12089 -0.2 -0.3 0.3
C 1.74466 0.76831 6.55369 -0.1 0.4 0.2
C 2.61701 0.70102 4.26934 0.0 -0.1 -0.3
H -2.90703 0.32437 5.63214 0.1 -0.1 -0.1
H -2.04660 -1.12808 5.04431 0.0 0.3 0.0
H -2.44847 0.19210 3.90946 0.1 -0.1 0.3
H -0.75854 1.45963 7.21527 -0.1 0.2 -0.2
H -0.24761 2.54605 5.88320 -0.1 -0.2 0.0
H -1.97716 2.16731 6.13627 0.2 0.1 0.0
H 2.68951 0.23296 6.69314 -0.2 0.0 -0.1
H 1.86302 1.78888 6.93793 0.0 -0.2 0.2
H 0.95743 0.24773 7.11132 0.3 0.1 -0.1
H 2.91520 -0.34918 4.12788 -0.1 0.3 0.0
H 2.42388 1.14279 3.28594 0.1 -0.2 0.3
H 3.43130 1.24067 4.75846 -0.1 0.0 -0.1
```
Forces are in eV/Å.

Calculated values
- HOMO level (alpha / beta) (eV) = -5.6 / -7.3
- lowest unoccupied orbital energy (alpha / beta) (eV) = -0.252 / -0.237
- total energy (hartree) = -3033.763740
-- stop --

## Result
C -2.29808 0.90365 -3.17419 -0.3 -0.2 -0.2
C -3.73117 0.53841 -3.57818 0.0 0.0 0.1
C -3.92958 -0.96831 -3.80618 0.1 0.0 -0.2
C -3.34168 -1.85288 -2.69775 0.1 0.2 0.1
C -1.89861 -1.45705 -2.36083 -0.1 0.0 -0.1